What to do =
Say how many lines of the lines underneath hold the word "C2", as a bare number, please.

Contents =
- - -
No. 1
Diffraction record for Zr2P2O9. The PXRD pattern is theoretical, not measured: it uses a cell relaxed with PBE and Cu Kα, 1.54184 Å.

Largest 12 diffraction maxima, low angle first, 10° ≤ 2θ ≤ 90°:
| 2θ/deg | intensity | h k l |
| --- | --- | --- |
| 16.0 | 67.6 | 1 1 -1 |
| 26.2 | 42.2 | 4 0 -2 |
| 26.7 | 100.0 | 0 2 0 |
| 27.7 | 26.8 | 2 0 -3 |
| 37.8 | 9.9 | 4 2 -2 |
| 38.2 | 12.4 | 2 2 1 |
| 39.1 | 19.4 | 3 1 -4 |
| 41.7 | 14.3 | 1 3 -1 |
| 45.9 | 16.2 | 6 0 -1 |
| 53.9 | 9.9 | 6 2 -1 |
| 55.1 | 14.5 | 0 4 0 |
| 55.8 | 12.0 | 3 3 -4 |

Atomic structure:
a b c (Å): 13.6239 6.6666 9.9177
angles (deg): 90.00 131.01 90.00
Space group C2/m (No. 12)
Asymmetric unit:
Zr: 0.0576 0.0000 0.3996
Zr: 0.1833 0.5000 0.1360
P: 0.0908 0.5000 0.3409
P: 0.1718 0.0000 0.0514
O: 0.0146 0.5000 0.1353
O: 0.0335 0.0000 0.8650
O: 0.0668 0.3123 0.4010
O: 0.1150 0.0000 0.6587
O: 0.1877 0.1889 0.1529
O: 0.2253 0.5000 0.9697
O: 0.2322 0.5000 0.4091

---

No. 2
Diffraction record for ZrP2O7. The PXRD pattern is theoretical, not measured: it uses a cell relaxed with PBE and Cu Kα, 1.54184 Å.

Largest 12 diffraction maxima, low angle first, 10° ≤ 2θ ≤ 90°:
| 2θ/deg | intensity | h k l |
| --- | --- | --- |
| 16.7 | 31.6 | 1 1 0 |
| 21.0 | 100.0 | 1 0 1 |
| 23.5 | 17.9 | 1 1 1 |
| 24.7 | 19.2 | 1 2 0 |
| 29.8 | 18.9 | 1 2 1 |
| 32.9 | 24.1 | 2 1 1 |
| 33.0 | 8.5 | 0 0 2 |
| 42.7 | 6.9 | 2 0 2 |
| 48.0 | 16.4 | 2 2 2 |
| 48.6 | 7.9 | 3 2 1 |
| 50.7 | 6.0 | 2 4 0 |
| 53.9 | 10.7 | 3 1 2 |

Atomic structure:
a b c (Å): 6.7864 8.4880 5.4280
angles (deg): 90.00 90.00 90.00
Space group Pnnm (No. 58)
Asymmetric unit:
Zr: 0.0000 0.0000 0.0000
P: 0.1885 0.3923 0.0000
O: 0.0000 0.5000 0.0000
O: 0.1194 0.2231 0.0000
O: 0.1992 0.9318 0.2672

---

No. 3
Diffraction record for ZrP2O7. The PXRD pattern is theoretical, not measured: it uses a cell relaxed with PBE and Cu Kα, 1.54184 Å.

Largest 12 diffraction maxima, low angle first, 10° ≤ 2θ ≤ 90°:
| 2θ/deg | intensity | h k l |
| --- | --- | --- |
| 18.2 | 35.0 | 1 1 1 |
| 21.0 | 100.0 | 2 0 0 |
| 23.5 | 35.7 | 2 1 0 |
| 25.8 | 36.6 | 2 1 1 |
| 29.9 | 31.6 | 2 2 0 |
| 35.2 | 37.6 | 3 1 1 |
| 46.9 | 9.4 | 3 3 1 |
| 48.2 | 28.8 | 4 0 2 |
| 53.1 | 24.6 | 4 2 2 |
| 56.6 | 25.1 | 5 1 1 |
| 62.2 | 10.9 | 4 4 0 |
| 66.4 | 10.6 | 4 4 2 |

Atomic structure:
a b c (Å): 8.4478 8.4478 8.4478
angles (deg): 90.00 90.00 90.00
Space group Pa-3 (No. 205)
Asymmetric unit:
Zr: 0.0000 0.0000 0.0000
P: 0.1080 0.6080 0.8920
O: 0.0000 0.0000 0.5000
O: 0.0549 0.7228 0.4162

* * * * *

Entry 1:
Calculated X-ray diffraction stick pattern of Ac2DyRe2N6 for Cu Kα (weighted mean of Kα1 and Kα2), from a DFT-relaxed cell (GGA-PBE, Alexandria).

Peak list (12 most intense, 2θ from 10° to 90°, low angle first)
2theta	intensity
29.8	100
30.2	100
43.0	41
52.7	18
53.5	42
53.7	21
62.9	15
70.5	15
71.1	17
86.5	11
87.1	11
87.3	11

Structural model:
Lattice parameters (Å, degrees): 7.0342 7.0342 7.0342 49.70 49.70 49.70
Positions (direct):
Ac 0.2122 0.2122 0.2122
Ac 0.7878 0.7878 0.7878
Dy 0.0000 0.0000 0.0000
Re 0.4009 0.4009 0.4009
Re 0.5991 0.5991 0.5991
N 0.2318 0.7437 0.7437
N 0.2563 0.2563 0.7682
N 0.2563 0.7682 0.2563
N 0.7437 0.2318 0.7437
N 0.7437 0.7437 0.2318
N 0.7682 0.2563 0.2563

Entry 2:
Calculated X-ray diffraction stick pattern of Ac3DySi2N6 for Cu Kα (weighted mean of Kα1 and Kα2), from a DFT-relaxed cell (GGA-PBE, Alexandria).

Peak list (12 most intense, 2θ from 10° to 90°, low angle first)
2theta	intensity
21.6	53
30.0	100
31.4	90
37.3	23
44.0	44
48.6	14
53.3	21
54.2	39
56.7	17
62.4	16
71.5	18
73.7	16

Structural model:
Lattice parameters (Å, degrees): 5.9552 5.9552 6.8403 90.00 90.00 120.00
Positions (direct):
Ac 0.0000 0.0000 0.0000
Ac 0.3333 0.6667 0.6589
Ac 0.6667 0.3333 0.3411
Dy 0.0000 0.0000 0.5000
Si 0.3333 0.6667 0.2092
Si 0.6667 0.3333 0.7908
N 0.1759 0.3518 0.2903
N 0.1759 0.8241 0.2903
N 0.3518 0.1759 0.7097
N 0.6482 0.8241 0.2903
N 0.8241 0.1759 0.7097
N 0.8241 0.6482 0.7097

Entry 3:
- - -

Worked solution =
1